Please find the line further below that holds "10.92791 10.20156", then write out that line and all lines after it there.

~~~
C19H57FeO10S9 as an isolated structure at a distorted geometry, computed with ωB97M-V/def2-TZVPD.

Atoms and positions in Å:
Fe 12.39155 8.23101 12.99059
C 11.87424 10.52630 11.26164
O 12.66800 9.85102 12.29922
H 11.24410 9.84453 10.68431
H 11.12932 11.20132 11.69133
H 12.64083 10.99287 10.58997
C 11.97419 17.61912 8.04254
S 12.65742 17.54106 9.70654
O 13.07859 16.07240 9.73716
C 14.12154 18.55000 9.32725
H 11.78176 18.61948 7.65538
H 11.03465 17.08879 8.03292
H 12.67416 17.08139 7.51176
H 14.54101 18.05807 8.42509
H 14.80292 18.42337 10.14136
H 13.87698 19.53321 9.05004
C 10.44859 14.94124 11.75594
S 11.01890 14.68061 13.44864
O 10.66065 13.27444 13.78282
C 12.77777 14.60126 13.08910
H 9.34065 14.95722 11.70731
H 10.92386 14.20656 11.14898
H 10.85554 15.90240 11.36037
H 13.00136 13.86463 12.30444
H 13.18349 14.33436 14.05840
H 13.16635 15.55161 12.64864
C 9.24026 4.96000 12.93717
S 9.72436 6.59754 12.90244
O 11.24124 6.73045 12.43328
C 9.01620 7.19082 11.40562
H 8.16209 5.07643 13.08446
H 9.70793 4.48454 13.79690
H 9.42719 4.45737 11.99403
H 7.92041 7.24403 11.56156
H 9.31981 6.57086 10.59447
H 9.38683 8.23953 11.24030
C 14.41206 6.46280 16.42506
S 14.56041 6.66154 14.58612
O 13.56801 7.81117 14.41786
C 16.10368 7.43216 14.12790
H 13.50265 5.92270 16.62124
H 14.42671 7.50297 16.76651
H 15.29256 5.97219 16.86479
H 16.25045 8.20436 14.87768
H 15.88832 7.87531 13.14582
H 16.91452 6.74103 14.13961
C 6.42297 9.89847 7.59427
S 7.10529 11.07254 8.86725
O 8.43961 10.49783 9.12358
C 7.36676 12.46867 7.71394
H 5.45630 10.12432 7.07837
H 6.38421 8.97575 8.22562
H 7.31943 9.91262 6.94678
H 6.43055 13.06189 7.39244
H 7.90186 12.02823 6.86051
H 8.06643 13.16320 8.18309
C 15.73889 11.82276 6.64630
S 15.18203 12.45823 8.19242
O 14.42592 11.29976 8.76313
C 14.00118 13.70452 7.46419
H 16.62528 11.12775 6.69105
H 16.20185 12.69893 6.06570
H 14.92125 11.33956 6.15334
H 14.62659 14.51220 7.06159
H 13.44864 14.13101 8.31310
H 13.32212 13.33134 6.73914
C 17.74479 10.93474 10.09090
S 18.11908 9.63042 11.36619
O 17.02905 8.58488 11.17142
C 19.57824 8.93775 10.62504
H 17.80015 10.45879 9.13741
H 18.48321 11.74050 9.95134
H 16.74746 11.39900 10.21258
H 20.27643 9.81066 10.63932
H 19.29943 8.51682 9.69018
H 19.78807 8.15489 11.38913
C 12.29301 10.58658 15.66508
S 10.92791 10.20156 14.74901
O 10.96151 8.66033 14.41214
C 9.79172 10.37606 16.13147
H 12.36804 10.01700 16.62360
H 12.33464 11.68236 15.98829
H 13.20200 10.24418 15.09107
H 8.93841 9.72781 15.84054
H 9.50350 11.44942 16.18496
H 10.29814 10.08303 17.06539
C 15.10314 4.93119 10.67470
S 13.88832 6.23786 10.36201
O 13.91822 7.21970 11.59505
C 14.80016 7.13090 9.13361
H 16.05802 5.40586 10.85844
H 15.08415 4.36447 9.73036
H 14.84750 4.28843 11.53737
H 15.77353 7.43575 9.60397
H 14.18724 8.02387 9.05552
H 14.91560 6.58440 8.17755

Output
Expectation value of S²   8.761
HOMO energy (spin up / spin down)   -12.45 / -12.45 eV
DFT total energy   -172986.9344 eV
Gap between HOMO and LUMO (spin up / spin down)   0.3229 / 0.2695 hartree
Max |F|   4.3 eV/A
2S+1   6
Charge   +2
LUMO energy (spin up / spin down)   -3.7 / -5.1 eV

=====

One molecule with the formula C4H9ClN2 at a distorted geometry, computed with ωB97M-V/def2-TZVPD.

Atoms and positions in Å:
C -2.00532 -0.70985 0.40192
N -1.30486 -0.18232 -0.76752
C -0.20008 0.40409 -0.67394
C 0.48507 1.23346 -1.66301
N 0.40442 0.25043 0.64472
C 1.15762 -0.92189 0.92998
Cl 1.25068 1.73381 1.15141
H -1.33974 -1.52256 0.83510
H -3.06460 -1.11477 0.11677
H -1.84029 -0.02158 1.22314
H 0.58089 2.27671 -1.23868
H 0.02928 1.17928 -2.63793
H 1.60267 1.00433 -1.73834
H 2.25337 -0.79378 0.79392
H 1.23886 -1.01588 2.12042
H 0.75204 -1.79949 0.50205

Output
HOMO energy   -9.10 eV
DFT total energy   -19793.9076 eV
Gap between HOMO and LUMO   0.3604 hartree
Energy above the lowest of the compared OMol25 structures with the same formula, charge and spin   2.021 eV
Max |F|   4.9 eV/A
SMILES   C/N=C(/C)N(C)Cl
LUMO energy   0.7 eV

=====
~~~

S 10.92791 10.20156 14.74901
O 10.96151 8.66033 14.41214
C 9.79172 10.37606 16.13147
H 12.36804 10.01700 16.62360
H 12.33464 11.68236 15.98829
H 13.20200 10.24418 15.09107
H 8.93841 9.72781 15.84054
H 9.50350 11.44942 16.18496
H 10.29814 10.08303 17.06539
C 15.10314 4.93119 10.67470
S 13.88832 6.23786 10.36201
O 13.91822 7.21970 11.59505
C 14.80016 7.13090 9.13361
H 16.05802 5.40586 10.85844
H 15.08415 4.36447 9.73036
H 14.84750 4.28843 11.53737
H 15.77353 7.43575 9.60397
H 14.18724 8.02387 9.05552
H 14.91560 6.58440 8.17755

Output
Expectation value of S²   8.761
HOMO energy (spin up / spin down)   -12.45 / -12.45 eV
DFT total energy   -172986.9344 eV
Gap between HOMO and LUMO (spin up / spin down)   0.3229 / 0.2695 hartree
Max |F|   4.3 eV/A
2S+1   6
Charge   +2
LUMO energy (spin up / spin down)   -3.7 / -5.1 eV

=====

One molecule with the formula C4H9ClN2 at a distorted geometry, computed with ωB97M-V/def2-TZVPD.

Atoms and positions in Å:
C -2.00532 -0.70985 0.40192
N -1.30486 -0.18232 -0.76752
C -0.20008 0.40409 -0.67394
C 0.48507 1.23346 -1.66301
N 0.40442 0.25043 0.64472
C 1.15762 -0.92189 0.92998
Cl 1.25068 1.73381 1.15141
H -1.33974 -1.52256 0.83510
H -3.06460 -1.11477 0.11677
H -1.84029 -0.02158 1.22314
H 0.58089 2.27671 -1.23868
H 0.02928 1.17928 -2.63793
H 1.60267 1.00433 -1.73834
H 2.25337 -0.79378 0.79392
H 1.23886 -1.01588 2.12042
H 0.75204 -1.79949 0.50205

Output
HOMO energy   -9.10 eV
DFT total energy   -19793.9076 eV
Gap between HOMO and LUMO   0.3604 hartree
Energy above the lowest of the compared OMol25 structures with the same formula, charge and spin   2.021 eV
Max |F|   4.9 eV/A
SMILES   C/N=C(/C)N(C)Cl
LUMO energy   0.7 eV

=====